Work order:
Next, type out only the lines underneath with the word "formation" in them.

Material:
-- begin --
# PBE Pu2ThPb, relaxed
# - D(E_F) (states/eV per cell) = 14.121
# - ΔE to the lowest computed polymorph (meV/atom) = 105
# - energy of formation from the pure elements (eV/atom) = -0.0032
data_Pu2ThPb
_chemical_formula_sum 'Pu2 Th1 Pb1'
_cell_length_a 4.146
_cell_length_b 4.146
_cell_length_c 6.621
_cell_angle_alpha 90.00
_cell_angle_beta 90.00
_cell_angle_gamma 90.00
_symmetry_space_group_name_H-M 'P 4/m m m'
_symmetry_Int_Tables_number 123
_symmetry_space_group_name_Hall '-P 4 2'
loop_
_atom_site_label
_atom_site_type_symbol
_atom_site_fract_x
_atom_site_fract_y
_atom_site_fract_z
_atom_site_occupancy
Pu1 Pu 0.000 0.000 0.234 1
Th1 Th 0.500 0.500 0.500 1
Pb1 Pb 0.500 0.500 0.000 1
-- stop --

Result:
# - energy of formation from the pure elements (eV/atom) = -0.0032